**Activity:**
Please filter the block below: keep the lines with the word "C3H9N3O2".

**Listing:**
~~~
Entry A
An isolated molecule of C4H5FN4, computed with ωB97M-V/def2-TZVPD.

The geometry in XYZ format:
```
14
Properties=species:S:1:pos:R:3
N 1.08483 0.18372 -2.24881
N 0.99616 0.78218 -1.07609
F 0.59313 2.28188 -1.18413
C 0.10462 0.20835 0.01620
C -0.57269 0.99339 0.97452
C -1.23328 0.24865 1.95597
N -1.44917 -1.06057 1.83821
C -0.83684 -1.75566 0.82609
N -0.00386 -1.14709 -0.04612
H 0.37698 0.36862 -2.97337
H 2.04501 0.26046 -2.57206
H -0.64178 2.05421 0.89385
H -1.67264 0.69737 2.83933
H -1.01503 -2.81946 0.63800
```

* SMILES: NN(F)c1ccncn1
* LUMO energy: 0.546 eV
* Kohn-Sham gap: 10.18 eV
* total charge: 0

Atom charges from the Löwdin analysis, given in e for atoms 1 to 8: 0.056 -0.092 -0.153 -0.206 0.003 -0.141 0.053 -0.161


Entry B
A cluster of 2 separate species, C4H5FN4 in total, computed with ωB97M-V/def2-TZVPD.

The geometry in XYZ format:
```
14
Properties=species:S:1:pos:R:3
C 0.79701 1.25679 0.14903
C 2.06942 0.93581 0.40960
C 1.59355 -1.25732 0.10235
C -0.05345 0.15057 -0.13895
N 2.47781 -0.35733 0.43869
N 0.29401 -1.13238 -0.20015
N -2.59100 -0.63260 -0.74127
N -2.09930 0.49352 -0.54635
F -2.15286 0.96011 0.97501
H 0.39549 2.33054 0.14181
H 2.82757 1.70341 0.83794
H 2.01568 -2.23804 -0.00953
H -1.94858 -1.50570 -0.48069
H -3.62534 -0.70736 -0.93749
```

* LUMO energy (alpha / beta): -0.016 / -0.016 eV
* Kohn-Sham gap (alpha / beta): 9.52 / 9.52 eV
* total charge: 0

Atom charges from the Löwdin analysis, given in e for atoms 1 to 8: -0.053 -0.149 -0.233 -0.028 0.077 0.111 -0.055 -0.049


Short version: entry A is the most stable of them.


Entry A
An isolated molecule of C3H9N3O2, computed with ωB97M-V/def2-TZVPD.

The geometry in XYZ format:
```
17
Properties=species:S:1:pos:R:3
C -0.44298 1.63667 1.31317
C 0.61663 0.66902 0.87689
N 0.37764 0.24358 -0.78650
N 1.60861 -0.02153 -1.45614
C -0.58022 -0.99923 -0.82946
O -0.58115 -1.63599 -1.87687
N -1.08343 -1.12049 0.34892
O -1.82632 -2.29379 0.53881
H -0.48762 2.50229 0.65250
H -1.41206 1.14563 1.34109
H -0.19904 1.98880 2.31701
H 1.59907 1.12179 0.75483
H 0.70076 -0.20212 1.51797
H -0.07987 0.99929 -1.29961
H 2.16064 -0.62956 -0.85444
H 1.37190 -0.57904 -2.28403
H -1.74254 -2.82533 -0.27413
```

* SMILES: CC[N@@H+](N)/C([O-])=N/O
* LUMO energy: 0.732 eV
* Kohn-Sham gap: 8.72 eV
* total charge: 0

Atom charges from the Löwdin analysis, given in e for atoms 1 to 8: -0.101 -0.098 -0.049 0.066 -0.587 -0.004 -0.029 -0.064


Entry B
A structure of composition C3H9N3O2, computed with ωB97M-V/def2-TZVPD.

The geometry in XYZ format:
```
17
Properties=species:S:1:pos:R:3
C -1.44464 1.55252 0.72943
C -0.91884 -1.68316 -0.75279
N 1.52148 0.68838 0.31422
N -0.74143 0.42722 1.28701
C 1.07511 -0.43318 -0.19800
O 2.92783 0.79731 0.07953
O 1.72769 -1.09568 -1.18130
N -0.17004 -0.78868 0.09898
H 3.11730 1.70047 0.35735
H 2.60606 -0.68610 -1.25030
H -1.40659 -0.26833 1.61800
H -2.06348 1.32039 -0.14755
H -2.11767 1.93639 1.50563
H -0.74981 2.34264 0.45338
H -1.47955 -1.13022 -1.51264
H -0.27442 -2.40555 -1.25693
H -1.60900 -2.27441 -0.14406
```

* LUMO energy: 0.799 eV
* Kohn-Sham gap: 8.43 eV
* total charge: 0

Atom charges from the Löwdin analysis, given in e for atoms 1 to 8: -0.157 -0.070 0.011 0.038 -0.506 -0.108 0.089 -0.042


Short version: entry A is the most stable of them.


Entry A
A cluster of 2 separate species, C3H9N3O2 in total, computed with ωB97M-V/def2-TZVPD.

The geometry in XYZ format:
```
17
Properties=species:S:1:pos:R:3
C 0.46041 1.02737 1.12364
C 2.23112 -0.13521 0.04550
C -0.22586 -0.38291 -0.21870
H -0.68208 1.24659 1.09021
H 0.63435 0.40822 1.96384
H 0.73285 2.18458 1.44675
H 2.25322 -0.90342 -0.89490
H 2.62565 1.03266 -0.31192
H 2.57161 -0.46334 1.12121
H -0.87514 1.23880 -0.88569
H -3.76370 0.25139 -1.07879
H -1.81931 -2.20906 -0.76744
N 0.88008 0.45327 -0.11879
N -1.51099 0.53812 -0.23387
N 0.05947 -1.56436 -0.51566
O -2.51600 -0.11697 -1.31723
O -1.05568 -2.60573 -0.44816
```

* LUMO energy: -0.228 eV
* Kohn-Sham gap: 9.14 eV
* total charge: 0
~~~

**Completed:**
An isolated molecule of C3H9N3O2, computed with ωB97M-V/def2-TZVPD.
A structure of composition C3H9N3O2, computed with ωB97M-V/def2-TZVPD.
A cluster of 2 separate species, C3H9N3O2 in total, computed with ωB97M-V/def2-TZVPD.